********
Computed, not measured: C33H28BrN4O3PSTi as an isolated structure, with ωB97M-V/def2-TZVPD.

```
72
Properties=species:S:1:pos:R:3:forces:R:3:mulliken_charge:R:1
Br 9.130 -1.538 -0.633 -0.002 -0.001 0.000 -0.15
Ti 0.633 -0.936 -0.612 0.184 0.413 0.748 -0.39
S 0.500 -1.625 1.745 -0.089 -0.074 -0.172 -0.60
P -1.244 1.330 0.854 0.026 0.069 0.003 0.42
O 2.450 0.020 -0.899 0.148 -0.025 0.063 -0.77
O 2.299 -2.150 -0.843 0.023 0.054 -0.161 -0.56
O -0.720 0.543 -0.353 0.097 -0.263 -0.056 0.70
N -0.631 -2.597 -0.793 -0.030 -0.033 0.089 1.67
N 0.030 -0.834 -2.667 -0.154 0.072 -0.221 0.40
N -0.430 -4.012 2.353 -0.004 -0.014 -0.003 -0.40
N -0.822 -3.501 0.196 -0.024 -0.079 0.151 -1.62
C 1.128 2.543 1.359 0.010 0.018 0.041 -0.53
C -3.947 -1.508 1.842 -0.005 -0.005 0.000 -0.66
C -1.979 2.838 0.224 0.114 0.056 0.053 0.57
C -4.146 0.234 3.489 0.015 0.017 0.002 -0.78
C 7.250 -1.408 -0.703 0.002 -0.005 0.001 0.12
C 6.660 -0.154 -0.780 -0.017 0.032 -0.004 -0.63
C -1.246 -0.735 -5.100 -0.076 -0.047 -0.087 -0.49
C 2.233 2.901 2.110 0.006 0.008 -0.019 -0.78
C -2.972 4.051 -1.597 0.008 -0.029 -0.002 -0.68
C -2.180 3.931 1.065 0.026 0.021 0.002 -0.49
C -1.584 -1.710 -4.175 -0.026 -0.070 -0.065 -0.95
C -0.924 -1.741 -2.957 0.025 -0.001 -0.158 0.72
C -3.135 0.946 2.862 -0.011 -0.009 -0.008 -0.23
C 5.110 -2.468 -0.727 0.001 -0.039 -0.001 -0.35
C 5.281 -0.063 -0.830 0.033 0.026 0.004 -0.33
C -3.182 5.135 -0.756 0.003 -0.003 0.027 -0.52
C -4.548 -0.994 2.982 0.002 -0.006 -0.011 -0.61
C -0.292 -3.134 1.349 -0.024 0.022 0.015 0.77
C 0.343 0.109 -3.555 0.082 -0.108 0.057 -0.16
C -1.222 -2.756 -1.925 -0.160 -0.210 -0.108 0.83
C 1.309 1.761 4.019 -0.014 -0.010 -0.004 -0.77
C -2.153 -3.883 -2.219 -0.028 -0.013 -0.052 -2.00
C -2.785 5.076 0.574 -0.017 0.013 -0.026 -0.69
C -2.515 0.421 1.729 -0.033 -0.029 -0.052 0.67
C 4.506 -1.218 -0.805 -0.031 0.037 -0.009 0.01
C -2.370 2.900 -1.110 -0.056 0.005 0.003 -0.31
C -2.935 -0.801 1.212 0.013 -0.027 0.031 -0.54
C 2.320 2.514 3.441 -0.003 -0.002 0.005 -0.50
C 0.106 1.786 1.938 -0.065 0.063 0.036 0.46
C -0.264 0.189 -4.793 0.029 0.101 -0.016 -1.03
C 3.040 -1.116 -0.856 0.006 0.082 -0.100 1.58
C 0.202 1.390 3.269 0.058 -0.002 -0.034 -0.31
C 6.488 -2.568 -0.675 0.003 -0.030 -0.002 -0.60
H -3.276 4.103 -2.635 0.001 0.002 0.013 0.43
H 1.120 0.800 -3.252 0.003 0.032 0.017 0.57
H -4.621 0.641 4.371 0.003 -0.004 -0.008 0.43
H -3.651 6.032 -1.139 0.004 -0.008 0.003 0.40
H -1.749 -0.703 -6.058 0.006 0.001 0.015 0.45
H 1.385 1.451 5.053 -0.003 0.004 -0.016 0.44
H 3.026 3.483 1.659 -0.006 -0.002 0.008 0.47
H 4.491 -3.356 -0.706 0.006 0.004 0.002 0.45
H 1.060 2.847 0.321 -0.008 0.009 -0.023 0.40
H -0.849 -4.908 2.168 0.006 0.000 0.006 0.23
H -2.938 5.927 1.224 0.002 -0.011 -0.008 0.43
H -0.562 0.770 3.714 -0.088 -0.027 0.013 0.52
H 7.277 0.734 -0.800 -0.013 -0.012 0.002 0.43
H -2.842 1.909 3.260 0.045 0.037 0.006 0.39
H -2.467 -1.203 0.325 0.000 0.001 0.008 0.29
H -5.337 -1.548 3.475 0.008 0.003 -0.005 0.41
H -2.201 2.051 -1.760 0.004 0.001 -0.005 0.33
H -1.845 3.902 2.096 0.001 -0.014 -0.016 0.31
H 4.796 0.903 -0.887 -0.005 -0.010 -0.001 0.45
H -0.018 -3.825 3.248 0.007 0.003 0.006 0.23
H 3.183 2.798 4.030 -0.010 -0.006 -0.008 0.43
H 0.026 0.960 -5.493 0.002 -0.011 0.013 0.46
H -2.344 -2.442 -4.404 0.004 0.008 0.018 0.46
H -2.250 -4.516 -1.344 -0.001 -0.003 0.006 0.40
H 6.972 -3.532 -0.612 -0.007 0.011 -0.001 0.43
H -3.137 -3.502 -2.498 -0.001 -0.012 0.000 0.39
H -1.778 -4.481 -3.052 -0.008 0.023 -0.003 0.44
H -4.262 -2.464 1.443 0.002 0.009 0.004 0.47
```
Positions in Å, forces in eV/Å.

⟨S²⟩: 0.75
Total charge: +1
2S+1: 2
ΔE to the lowest compared entry with this formula, charge and spin: 0.00 kcal/mol
Frontier orbital gap (spin up / spin down): 0.2706 / 0.2763 Eh



Computed, not measured: C33H28CdCl2N3OS4 as an isolated structure, with ωB97M-V/def2-TZVPD.

```
72
Properties=species:S:1:pos:R:3:forces:R:3:mulliken_charge:R:1
Cd 0.829 0.958 0.165 0.132 0.012 0.024 1.63
Cl 4.017 -2.801 1.724 -0.017 0.020 -0.088 -0.25
********

The reader should start at the top of the notes earlier on and print each line, ending with the one that has "2.353 -0.004".

Computed, not measured: C33H28BrN4O3PSTi as an isolated structure, with ωB97M-V/def2-TZVPD.

```
72
Properties=species:S:1:pos:R:3:forces:R:3:mulliken_charge:R:1
Br 9.130 -1.538 -0.633 -0.002 -0.001 0.000 -0.15
Ti 0.633 -0.936 -0.612 0.184 0.413 0.748 -0.39
S 0.500 -1.625 1.745 -0.089 -0.074 -0.172 -0.60
P -1.244 1.330 0.854 0.026 0.069 0.003 0.42
O 2.450 0.020 -0.899 0.148 -0.025 0.063 -0.77
O 2.299 -2.150 -0.843 0.023 0.054 -0.161 -0.56
O -0.720 0.543 -0.353 0.097 -0.263 -0.056 0.70
N -0.631 -2.597 -0.793 -0.030 -0.033 0.089 1.67
N 0.030 -0.834 -2.667 -0.154 0.072 -0.221 0.40
N -0.430 -4.012 2.353 -0.004 -0.014 -0.003 -0.40